### Contents
'''
No. 1
Computed, not measured: a molecular structure, C48H98F18K3N3O33S6 at a distorted geometry, with ωB97M-V/def2-TZVPD.

The geometry in ORCA input format:
```
! RIJCOSX wB97M-V def2-TZVPD def2/J DEFGRID3
* xyz 0 1
K 2.42549 -3.00803 -2.18211
K -1.82527 0.27005 3.71677
K -1.85577 -3.07098 1.36878
C -0.44497 5.27600 4.92339
F -0.33174 4.48670 6.00796
F -1.73090 5.52169 4.70441
F 0.20558 6.41014 5.17857
S 0.29852 4.39848 3.48118
O -0.32431 3.10487 3.51324
O 0.03351 5.15594 2.29790
N 1.81743 4.41092 4.01881
S 2.78897 3.66035 3.02489
O 2.73870 2.22093 3.05453
O 2.89061 4.23515 1.71475
C 4.40864 4.04693 3.81689
F 4.46138 3.57632 5.07243
F 5.38174 3.46133 3.12349
F 4.63909 5.35730 3.86163
C -5.14846 -2.31733 2.02363
F -4.46652 -1.39723 1.33876
F -6.43765 -2.08539 1.86144
F -4.80426 -3.52669 1.55244
S -4.73813 -2.16328 3.80349
O -4.94753 -0.78481 4.13095
O -5.54563 -3.10549 4.49549
N -3.08500 -2.40541 3.77935
S -2.84384 -3.19221 5.19604
O -3.32973 -2.43926 6.30584
O -3.13044 -4.59831 5.15185
C -1.00745 -3.16314 5.42427
F -0.59268 -1.91164 5.65771
F -0.66756 -3.94903 6.40724
F -0.37618 -3.52424 4.27638
C -2.71805 1.61158 0.03392
F -3.86297 1.30637 0.63402
F -3.00358 2.29239 -1.07706
F -1.94083 2.36460 0.79904
S -1.81448 0.06910 -0.46863
O -2.84054 -0.91029 -0.69913
O -1.00503 0.48022 -1.56489
N -1.02895 -0.34010 0.94542
S 0.53549 -0.40028 0.56116
O 0.82023 -1.30910 -0.52383
O 1.04234 0.92953 0.51918
C 1.32369 -1.24964 2.03384
F 1.08927 -2.57722 1.92374
F 2.62014 -1.01173 1.92973
F 0.90015 -0.77071 3.19913
C 1.73677 1.26136 5.87759
O 0.45438 0.63918 5.97278
C -0.06581 0.70785 7.28635
C -1.48533 0.25466 7.52628
O -2.50781 0.80449 6.72190
C -2.53611 2.20764 6.69231
C -3.68461 2.67997 5.83973
O -3.35094 2.49364 4.47670
C -4.36161 3.06377 3.67809
H 2.18275 1.40175 6.86107
H 1.60673 2.19162 5.32270
H 2.37921 0.62131 5.27195
H 0.07687 1.73890 7.65189
H 0.55372 0.14235 8.00611
H -1.70019 0.53852 8.57169
H -1.60933 -0.82376 7.50730
H -1.60065 2.66257 6.35009
H -2.71264 2.57215 7.71944
H -3.82104 3.74535 6.06330
H -4.58492 2.12305 6.12192
H -4.19901 2.80376 2.63544
H -4.42594 4.15085 3.80317
H -5.35694 2.68526 3.95208
C 4.88681 -3.51942 1.05451
O 3.54630 -3.61875 0.61340
C 3.08774 -4.95003 0.58351
C 3.82248 -5.82367 -0.42850
O 3.83825 -5.15666 -1.66197
C 4.25487 -5.92712 -2.76880
C 4.23899 -5.04456 -3.99259
O 2.93586 -4.65587 -4.41189
C 2.20146 -5.74752 -4.93665
H 5.01896 -4.00816 2.02817
H 5.09598 -2.45615 1.10916
H 5.60991 -4.01155 0.39298
H 2.03918 -4.90720 0.27887
H 3.18495 -5.41900 1.57022
H 3.28809 -6.78132 -0.50837
H 4.83081 -6.08112 -0.08301
H 3.62849 -6.82889 -2.83780
H 5.24660 -6.38048 -2.62292
H 4.78353 -5.54355 -4.80181
H 4.73062 -4.08898 -3.79864
H 1.39787 -5.35822 -5.56802
H 1.70359 -6.29772 -4.13505
H 2.79042 -6.35359 -5.62910
C -5.25593 -2.99389 -3.81152
O -6.18936 -2.00115 -3.49122
C -5.92266 -1.38860 -2.25864
C -6.97729 -0.35990 -1.96795
O -6.90194 0.62023 -2.98706
C -7.86419 1.63828 -2.86404
C -7.49126 2.75154 -3.79299
O -6.19150 3.24099 -3.68165
C -5.72256 3.58797 -2.38445
H -5.64510 -3.49124 -4.70027
H -5.13364 -3.74770 -3.01965
H -4.26818 -2.56602 -4.03200
H -4.93263 -0.91195 -2.26064
H -5.92085 -2.10986 -1.42258
H -6.75166 0.11626 -1.00576
H -7.94560 -0.87727 -2.00835
H -7.98526 1.96818 -1.82164
H -8.84562 1.22300 -3.14087
H -8.21786 3.57627 -3.62655
H -7.65326 2.53876 -4.84957
H -5.91788 2.71999 -1.74790
H -6.28336 4.46238 -2.02929
H -4.66656 3.81926 -2.46842
C -8.25555 -1.56700 -8.41687
O -7.04763 -1.67957 -7.71787
C -5.96666 -1.89494 -8.57654
C -4.65099 -2.00956 -7.85673
O -4.25220 -0.80553 -7.27240
C -2.97972 -0.89057 -6.70027
C -2.58787 0.30154 -5.88155
O -3.53283 0.53928 -4.89904
C -3.31259 1.79860 -4.25833
H -8.42233 -2.44313 -9.06421
H -8.27041 -0.65878 -9.02976
H -9.08306 -1.55962 -7.71100
H -5.91535 -1.18901 -9.41425
H -6.10784 -2.90443 -9.01193
H -3.95194 -2.32343 -8.65504
H -4.66914 -2.80597 -7.09945
H -2.22859 -1.16634 -7.46539
H -2.91571 -1.78948 -6.04893
H -2.43035 1.21365 -6.47676
'''

### Job
Restate all of the material above exactly.

### Reply
No. 1
Computed, not measured: a molecular structure, C48H98F18K3N3O33S6 at a distorted geometry, with ωB97M-V/def2-TZVPD.

The geometry in ORCA input format:
```
! RIJCOSX wB97M-V def2-TZVPD def2/J DEFGRID3
* xyz 0 1
K 2.42549 -3.00803 -2.18211
K -1.82527 0.27005 3.71677
K -1.85577 -3.07098 1.36878
C -0.44497 5.27600 4.92339
F -0.33174 4.48670 6.00796
F -1.73090 5.52169 4.70441
F 0.20558 6.41014 5.17857
S 0.29852 4.39848 3.48118
O -0.32431 3.10487 3.51324
O 0.03351 5.15594 2.29790
N 1.81743 4.41092 4.01881
S 2.78897 3.66035 3.02489
O 2.73870 2.22093 3.05453
O 2.89061 4.23515 1.71475
C 4.40864 4.04693 3.81689
F 4.46138 3.57632 5.07243
F 5.38174 3.46133 3.12349
F 4.63909 5.35730 3.86163
C -5.14846 -2.31733 2.02363
F -4.46652 -1.39723 1.33876
F -6.43765 -2.08539 1.86144
F -4.80426 -3.52669 1.55244
S -4.73813 -2.16328 3.80349
O -4.94753 -0.78481 4.13095
O -5.54563 -3.10549 4.49549
N -3.08500 -2.40541 3.77935
S -2.84384 -3.19221 5.19604
O -3.32973 -2.43926 6.30584
O -3.13044 -4.59831 5.15185
C -1.00745 -3.16314 5.42427
F -0.59268 -1.91164 5.65771
F -0.66756 -3.94903 6.40724
F -0.37618 -3.52424 4.27638
C -2.71805 1.61158 0.03392
F -3.86297 1.30637 0.63402
F -3.00358 2.29239 -1.07706
F -1.94083 2.36460 0.79904
S -1.81448 0.06910 -0.46863
O -2.84054 -0.91029 -0.69913
O -1.00503 0.48022 -1.56489
N -1.02895 -0.34010 0.94542
S 0.53549 -0.40028 0.56116
O 0.82023 -1.30910 -0.52383
O 1.04234 0.92953 0.51918
C 1.32369 -1.24964 2.03384
F 1.08927 -2.57722 1.92374
F 2.62014 -1.01173 1.92973
F 0.90015 -0.77071 3.19913
C 1.73677 1.26136 5.87759
O 0.45438 0.63918 5.97278
C -0.06581 0.70785 7.28635
C -1.48533 0.25466 7.52628
O -2.50781 0.80449 6.72190
C -2.53611 2.20764 6.69231
C -3.68461 2.67997 5.83973
O -3.35094 2.49364 4.47670
C -4.36161 3.06377 3.67809
H 2.18275 1.40175 6.86107
H 1.60673 2.19162 5.32270
H 2.37921 0.62131 5.27195
H 0.07687 1.73890 7.65189
H 0.55372 0.14235 8.00611
H -1.70019 0.53852 8.57169
H -1.60933 -0.82376 7.50730
H -1.60065 2.66257 6.35009
H -2.71264 2.57215 7.71944
H -3.82104 3.74535 6.06330
H -4.58492 2.12305 6.12192
H -4.19901 2.80376 2.63544
H -4.42594 4.15085 3.80317
H -5.35694 2.68526 3.95208
C 4.88681 -3.51942 1.05451
O 3.54630 -3.61875 0.61340
C 3.08774 -4.95003 0.58351
C 3.82248 -5.82367 -0.42850
O 3.83825 -5.15666 -1.66197
C 4.25487 -5.92712 -2.76880
C 4.23899 -5.04456 -3.99259
O 2.93586 -4.65587 -4.41189
C 2.20146 -5.74752 -4.93665
H 5.01896 -4.00816 2.02817
H 5.09598 -2.45615 1.10916
H 5.60991 -4.01155 0.39298
H 2.03918 -4.90720 0.27887
H 3.18495 -5.41900 1.57022
H 3.28809 -6.78132 -0.50837
H 4.83081 -6.08112 -0.08301
H 3.62849 -6.82889 -2.83780
H 5.24660 -6.38048 -2.62292
H 4.78353 -5.54355 -4.80181
H 4.73062 -4.08898 -3.79864
H 1.39787 -5.35822 -5.56802
H 1.70359 -6.29772 -4.13505
H 2.79042 -6.35359 -5.62910
C -5.25593 -2.99389 -3.81152
O -6.18936 -2.00115 -3.49122
C -5.92266 -1.38860 -2.25864
C -6.97729 -0.35990 -1.96795
O -6.90194 0.62023 -2.98706
C -7.86419 1.63828 -2.86404
C -7.49126 2.75154 -3.79299
O -6.19150 3.24099 -3.68165
C -5.72256 3.58797 -2.38445
H -5.64510 -3.49124 -4.70027
H -5.13364 -3.74770 -3.01965
H -4.26818 -2.56602 -4.03200
H -4.93263 -0.91195 -2.26064
H -5.92085 -2.10986 -1.42258
H -6.75166 0.11626 -1.00576
H -7.94560 -0.87727 -2.00835
H -7.98526 1.96818 -1.82164
H -8.84562 1.22300 -3.14087
H -8.21786 3.57627 -3.62655
H -7.65326 2.53876 -4.84957
H -5.91788 2.71999 -1.74790
H -6.28336 4.46238 -2.02929
H -4.66656 3.81926 -2.46842
C -8.25555 -1.56700 -8.41687
O -7.04763 -1.67957 -7.71787
C -5.96666 -1.89494 -8.57654
C -4.65099 -2.00956 -7.85673
O -4.25220 -0.80553 -7.27240
C -2.97972 -0.89057 -6.70027
C -2.58787 0.30154 -5.88155
O -3.53283 0.53928 -4.89904
C -3.31259 1.79860 -4.25833
H -8.42233 -2.44313 -9.06421
H -8.27041 -0.65878 -9.02976
H -9.08306 -1.55962 -7.71100
H -5.91535 -1.18901 -9.41425
H -6.10784 -2.90443 -9.01193
H -3.95194 -2.32343 -8.65504
H -4.66914 -2.80597 -7.09945
H -2.22859 -1.16634 -7.46539
H -2.91571 -1.78948 -6.04893
H -2.43035 1.21365 -6.47676